A Mainstream Academic Research Superstar Starts to Question Things
• These data records were left in the entry by mistake:
........
(1)
Entry from OMol25: C32H48P2Sc as an isolated structure (ωB97M-V/def2-TZVPD).

Properties
* energy above the lowest of the compared OMol25 structures with the same formula, charge and spin: 0.0 kcal per mole
* charge: +1

Last column: Mulliken charge in e.
Atoms and positions in Å:
Sc (-0.79718, 1.01999, -0.30423)  -1.0251
C (0.23576, 1.10534, 2.33204)  0.9440
C (1.15738, 1.51403, 1.32462)  0.7085
C (-0.65804, 2.99648, 1.35097)  0.4381
C (-0.86135, 2.00107, 2.34415)  0.7847
C (0.67264, 2.77863, 0.80834)  0.8964
C (0.45720, 0.03258, 3.32710)  -1.4052
H (1.48369, -0.35865, 3.28901)  0.4507
H (-0.23670, -0.79652, 3.14761)  -0.1107
H (0.26261, 0.40366, 4.34658)  0.3692
C (-1.91740, 1.99357, 3.36586)  -1.2775
H (-1.47858, 1.89361, 4.36012)  0.3334
H (-2.57786, 1.14661, 3.20610)  -0.0650
H (-2.50113, 2.91138, 3.32763)  0.4466
C (-1.55993, 4.18014, 1.17847)  -1.9167
H (-1.88293, 4.57724, 2.15350)  0.5605
H (-2.46226, 3.84095, 0.64792)  0.2371
H (-1.11994, 5.01808, 0.61956)  0.2503
C (1.58455, 3.82889, 0.28572)  -1.7498
H (2.45076, 3.95899, 0.96672)  0.4227
H (1.06209, 4.79319, 0.21463)  0.3846
H (1.98219, 3.53166, -0.69043)  0.2977
C (2.57341, 1.04350, 1.30918)  -1.7069
H (3.02985, 1.13453, 2.31000)  0.3639
H (3.17336, 1.61884, 0.59531)  0.4637
H (2.62592, -0.01796, 1.04484)  0.2813
C (1.66765, -3.35059, 0.24942)  -0.8056
C (2.93650, -3.47063, 0.69986)  -0.6424
C (4.20564, -3.31592, -0.07813)  -0.6614
C (4.20483, -3.58405, -1.61392)  -0.8855
C (3.97265, -2.41015, -2.52864)  -0.8337
C (3.06171, -1.43458, -2.38155)  -0.5916
C (1.99937, -1.36086, -1.32969)  3.2418
C (1.20132, -2.62283, -0.97718)  0.0392
H (4.96335, -3.99308, 0.37117)  0.4738
H (3.51205, -4.39423, -1.86888)  0.3149
H (4.59162, -2.30193, 0.12769)  0.2360
H (1.12401, -3.33102, -1.81725)  0.3273
H (0.87620, -3.82510, 0.82561)  0.5202
H (3.09510, -3.69483, 1.77610)  0.3543
H (0.15850, -2.29516, -0.77898)  0.0778
H (2.43430, -0.97813, -0.40880)  -0.9318
H (3.06102, -0.59074, -3.09198)  0.4292
H (1.31644, -0.55400, -1.65364)  -1.5718
H (5.22738, -3.91942, -1.84159)  0.4697
H (4.58226, -2.42894, -3.44645)  0.3884
P (-1.14593, -0.46911, -2.53667)  1.5376
P (-0.80767, 2.49247, -2.25842)  1.4347
C (-1.56208, 0.57778, -4.06467)  -1.0136
C (-1.95989, 1.96581, -3.62387)  -1.2289
H (-2.35277, 0.06530, -4.62505)  0.5888
H (-0.65979, 0.60065, -4.69589)  0.4530
H (-1.89340, 2.69484, -4.44156)  0.4563
H (-2.97698, 1.97318, -3.19928)  0.4108
C (-1.30414, 4.23932, -2.14979)  -1.1238
H (-0.68704, 4.77239, -1.41328)  0.2322
H (-2.35964, 4.25723, -1.83215)  0.3569
H (-1.19770, 4.69649, -3.14721)  0.5195
C (0.77918, 2.47941, -3.18451)  -1.4724
H (0.61126, 2.31245, -4.25700)  0.5430
H (1.43377, 1.67417, -2.81836)  0.1401
H (1.30930, 3.43408, -3.05907)  0.5250
C (-2.70302, -1.44692, -2.42672)  -1.4077
H (-2.59142, -2.18289, -1.62205)  0.3471
H (-2.89991, -1.95434, -3.38219)  0.4868
H (-3.54226, -0.78966, -2.16813)  0.3688
C (-0.24356, -1.59089, -3.71560)  -1.6511
H (-0.78835, -1.65400, -4.66573)  0.5757
........
TrialSite Staff July 2021
Recently, Dr. Marty Makary, a professor at the Johns Hopkins School of Medicine, Bloomberg School of Public Health and Carey Business School, and also Editor-in-Chief at MEDPAGETODAY®, wrote an editorial in the Wall Street Journal (WSJ) calling out the society-wide push by the nation’s government agencies, academic medical centers, industry, and great majority of mass media to vaccinate all children as a concerted effort to save lives. It turns out, writes Makary, that based on data from the U.S. Centers for Disease Control and Prevention (CDC), the total number of children under 18 that have died with a COVID-19 diagnostic code associated with their record comes out to 335. Makary shares that despite the fact that the CDC employs 21,000 people, no one there has systematically investigated the cause of each child’s death, in an effort to determine if COVID was actually involved or if the death was the result of a preexisting condition. But, the Johns Hopkins professor asks, how could the CDC Advisory Committee on Immunization Practices conclude back in May that “the benefits of two-dose vaccination outweigh the risks for all kids 12 to 15”? Unless they have come to a prerequisite solution that’s overwhelmingly detached from reality, what data drove their conclusion?
Professor Makary has already published one public piece about the CDC. Just last month, he suggested that the CDC could be sitting on troves of data in a bid to support their mass vaccination narrative. But why would this be the case? Who went ahead and decided this would be the approach without probing the actual underlying data on deaths of children?
The FAIR Health Study
In his recent opinion piece, Professor Makary reports on a study he and his team conducted at Johns Hopkins in collaboration with FAIR Health, a nonprofit organization. They analyzed about 48,000 children under 18 diagnosed with COVID-19 in health-insurance data from April to August 2020.
No Children have Died in U.S. without Pre-existing Conditions
The results were telling: “a mortality rate of zero among children without a pre-existing medical condition such as leukemia.” Imagine what the implications are for healthy kids here?
Correct Data
Makary reminds us that researchers to regulators to public health officials must be working with the right data. Such data is certainly required before organizations, such as the National Education Association, make decisions about COVID-19 vaccination requirements before kids return to school. The true risk associated with this group must be understood, as recently covered by TrialSite.
What is going on?
Makary represents a crack in the proverbial dike associated with the mass vaccination program now underway in the United States. Makary suggests the CDC:
“may also be under capturing data on vaccine complications. The CDC risk-benefit analysis for vaccinating all children used rates of complications extrapolated from the Vaccine Adverse Event Reporting System database known as VAERS, which contains raw, self-reported data that is unverified and likely underreports adverse events.”
TrialSite has reported that some analysts who searched the VAERS database find, overall, about 6,000 deaths associated with the vaccine. However, just because a death is reported, doesn’t mean it’s associated with the COVID-19 jab. But in this case, the government vows none of the deaths are associated with the vaccines, even though a sizable percentage of reported deaths occurred within the first 36 hours of receiving the vaccine.
Recommendations et al.
Makary goes on to make some good recommendations, such as to study the UK where, at least according to one study, one dose of an mRNA-based vaccine was sufficient. TrialSite has made this case as well. Other more controversial suggestions indicate the need for early COVID-19 treatment, especially since not all people will opt for vaccines, which is not a crime.
Groupthink and political tribalism permeate today’s society, and unfortunately, the political party now in power appears to be using the pandemic as a political weapon, attacking those that aren’t vaccinated with accusations of “killing people.” Of course, the other side has wielded the pandemic as a political weapon for other reasons unrelated to vaccination. This is a pandemic of politics as much as it is a fight against a dangerous virus. The groupthink, tribalism, and dialogue around vaccination can lead to dangerous times, ones where societal pressures to shame the unvaccinated will only backfire to the detriment of everyone. Sound, rational, brave, and balanced leadership needs to emerge. In the world of academic medical centers, Professor Makary is one of those leaders.
Call to Action: Check out Professor Makary’s article in the WSJ.